# Contents
=====
KScSe2 | PBE | relaxed

a = 3.9902 Å, b = 3.9902 Å, c = 7.7773 Å
α = 90.00°, β = 90.00°, γ = 120.00°
With the nearest neighbours (Å) after each atom.
Space group P-3m1 (No. 164)
Asymmetric unit:
K1 0.0000 0.0000 0.0000 [1 per cell]  6 Se 3.31
Sc1 0.0000 0.0000 0.5000 [1 per cell]  6 Se 2.75
Se1 0.3333 0.6667 0.3062 [2 per cell]  3 Sc 2.75

## Properties
formation energy (no corrections): -1.60 eV/atom
total magnetization: 0.00 μB per cell

***

K2ScSe | PBE | relaxed

a = 3.9963 Å, b = 5.7138 Å, c = 13.9802 Å
α = 90.00°, β = 90.00°, γ = 90.00°
With the nearest neighbours (Å) after each atom.
Space group Amm2 (No. 38)
Asymmetric unit:
K1 0.0000 0.0000 0.0000 [2 per cell]  4 Se 3.59, 2 Sc 3.83, 2 K 4.00
K2 0.5000 0.0000 0.3178 [2 per cell]  1 Se 3.42
Sc1 0.0000 0.0000 0.6828 [2 per cell]  2 Se 2.61
Se1 0.5000 0.0000 0.5622 [2 per cell]  2 Sc 2.61

## Properties
formation energy (no corrections): -0.45 eV/atom
total magnetization: 1.79 μB per cell


Density functional theory data (GGA-PBE) for HoSnPt after structural relaxation.

As for the total energy: -16.3 eV per formula unit.

The space group is P-62m (No. 189) and the conventional cell measures 8.1881, 8.1881 and 3.3793 Å, with angles of 90.00, 90.00 and 120.00 degrees. The inequivalent atoms are Ho at (0.0000, 0.2955, 0.0000), Sn at (0.0000, 0.0000, 0.5000), Sn at (0.3333, 0.6667, 0.0000) and Pt at (0.0000, 0.6465, 0.5000).

=====

Density functional theory data (GGA-PBE) for Sc2ZnPt after structural relaxation.

The energy of formation is -2.0 eV per formula unit.

The space group is P6_3/mmc (No. 194) and the conventional cell measures 3.9608, 3.9608 and 12.6409 Å, with angles of 90.00, 90.00 and 120.00 degrees. The inequivalent atoms are Sc at (0.3333, 0.6667, 0.1086), Zn at (0.3333, 0.6667, 0.7500) and Pt at (0.0000, 0.0000, 0.0000).

=====

Density functional theory data (GGA-PBE) for SrTbPm after structural relaxation.

As for the total energy: -8.6 eV per formula unit.

The space group is F-43m (No. 216) and the conventional cell measures 8.2063, 8.2063 and 8.2063 Å, with angles of 90.00, 90.00 and 90.00 degrees. The inequivalent atoms are Sr at (0.0000, 0.0000, 0.0000), Tb at (0.0000, 0.0000, 0.5000) and Pm at (0.2500, 0.2500, 0.2500).
=====
# Exercise
Search the rows further above for the word "conventional" and quote each line that has it.
# Reply
The space group is P-62m (No. 189) and the conventional cell measures 8.1881, 8.1881 and 3.3793 Å, with angles of 90.00, 90.00 and 120.00 degrees. The inequivalent atoms are Ho at (0.0000, 0.2955, 0.0000), Sn at (0.0000, 0.0000, 0.5000), Sn at (0.3333, 0.6667, 0.0000) and Pt at (0.0000, 0.6465, 0.5000).
The space group is P6_3/mmc (No. 194) and the conventional cell measures 3.9608, 3.9608 and 12.6409 Å, with angles of 90.00, 90.00 and 120.00 degrees. The inequivalent atoms are Sc at (0.3333, 0.6667, 0.1086), Zn at (0.3333, 0.6667, 0.7500) and Pt at (0.0000, 0.0000, 0.0000).
The space group is F-43m (No. 216) and the conventional cell measures 8.2063, 8.2063 and 8.2063 Å, with angles of 90.00, 90.00 and 90.00 degrees. The inequivalent atoms are Sr at (0.0000, 0.0000, 0.0000), Tb at (0.0000, 0.0000, 0.5000) and Pm at (0.2500, 0.2500, 0.2500).